-- Material --
........
Entry 1:
This record from the Open Molecules 2025 dataset describes a cluster of 2 separate species, C3H4N2S2 in total in a non-equilibrium geometry. The level of theory is ωB97M-V/def2-TZVPD.

Kohn-Sham gap (hartree): 0.290
Maximum force (hartree/bohr): 0.183
Multiplicity: 1
ΔE to the lowest compared entry with this formula, charge and spin (kJ/mol): 461.6
Total energy (Ha): -1022.43983

Atoms and positions in Å:
1 C -0.183083 0.473387 0.883253
2 C -0.247182 0.328362 -0.708135
3 C 0.803887 0.694853 -1.574485
4 H -2.284312 0.628718 1.048994
5 H -1.547819 0.256085 2.541544
6 H -1.162160 0.831671 -0.888268
7 H -1.485588 -1.675989 0.142580
8 N -1.290977 1.014821 1.351913
9 N 1.329568 1.206999 -2.566169
10 S 1.101242 0.073413 1.873775
11 S -0.853241 -1.609216 -0.995577

Cartesian forces, eV/Å:
3.7 -1.6 -1.4
-1.5 -2.8 3.3
3.5 3.9 -7.3
2.7 1.4 -0.7
1.5 3.4 -3.6
-0.5 0.7 -1.1
-0.4 0.0 1.0
-6.6 -3.8 5.5
-2.9 -3.6 6.6
-0.9 0.3 -1.4
1.4 2.0 -0.9

---

Entry 2:
This record from the Open Molecules 2025 dataset describes a structure of composition C35H47BCl2N8O4Ti in a non-equilibrium geometry. The level of theory is ωB97M-V/def2-TZVPD.

Total charge: +1
Kohn-Sham gap (spin up / spin down) (hartree): 0.276 / 0.260
Maximum force (hartree/bohr): 0.037
Multiplicity: 2
ΔE to the lowest compared entry with this formula, charge and spin (kJ/mol): 31.3
Total energy (Ha): -3895.60214

Atoms and positions in Å:
1 Ti -0.250201 -0.546465 -0.539112
2 C -2.942570 1.997703 3.627222
3 C -2.504271 0.822702 2.809437
4 C -2.950492 -0.471523 2.886382
5 C -2.285878 -1.192095 1.882665
6 N -1.477785 -0.354114 1.224282
7 N -1.598286 0.878653 1.812973
8 B -0.817304 2.125314 1.386699
9 N -1.054547 2.470775 -0.098903
10 N -0.844895 1.642380 -1.182008
11 C -1.126730 2.359993 -2.274707
12 C -1.556532 3.639583 -1.891276
13 C -1.500892 3.673025 -0.521007
14 C -1.845012 4.818106 0.379686
15 C -0.867801 1.925979 -3.714164
16 C 0.553868 1.369156 -3.848889
17 C -1.873997 0.880530 -4.204356
18 C -0.987003 3.149813 -4.628051
19 N 0.736415 2.042280 1.811746
20 N 1.682270 1.354192 1.105665
21 C 2.922502 1.472421 1.650865
22 C 2.723676 2.274787 2.760304
23 C 1.371636 2.609546 2.832841
24 C 0.695107 3.440884 3.868967
25 C 4.262873 0.904053 1.214644
26 C 4.878636 0.195148 2.435716
27 C 4.214024 -0.092260 0.058193
28 C 5.142317 2.096670 0.806161
29 C -2.538916 -2.681978 1.670223
30 C -1.612854 -3.414651 0.696304
31 C -3.990195 -2.846584 1.188264
32 C -2.382779 -3.378558 3.034950
33 H -3.727719 1.676256 4.308191
34 H -3.341805 2.796589 2.999580
35 H -2.132176 2.418070 4.222798
36 H -3.684785 -0.847509 3.583005
37 H -1.213007 3.040120 2.041394
38 H -1.852603 4.455708 -2.531510
39 H -2.190175 5.651373 -0.229197
40 H -0.983743 5.155941 0.958748
41 H -2.638767 4.557560 1.080822
42 H 0.722236 0.516229 -3.195830
43 H 1.297402 2.129770 -3.594279
44 H 0.730351 1.050766 -4.881329
45 H -1.773777 -0.053791 -3.662310
46 H -1.699817 0.674920 -5.264198
47 H -2.899449 1.242731 -4.093405
48 H -0.303213 3.947018 -4.325201
49 H -2.005780 3.547559 -4.635777
50 H -0.735820 2.858974 -5.650779
51 H 3.486447 2.590831 3.455213
52 H 1.445374 3.872829 4.527943
53 H 0.021279 2.831134 4.471549
54 H 0.110378 4.244839 3.421175
55 H 4.249809 -0.637368 2.764772
56 H 5.022831 0.873301 3.278279
57 H 5.857138 -0.201197 2.154797
58 H 3.561713 -0.940137 0.276810
59 H 5.224833 -0.476808 -0.091961
60 H 3.886277 0.369592 -0.871976
61 H 5.248524 2.818520 1.618822
62 H 4.728379 2.612862 -0.064056
63 H 6.137937 1.730119 0.544281
64 H -1.485180 -2.914738 -0.261939
65 H -2.051014 -4.390127 0.473902
66 H -0.635661 -3.588629 1.144895
67 H -4.116490 -2.460978 0.173907
68 H -4.693139 -2.322500 1.840920
69 H -4.254107 -3.907325 1.181325
70 H -1.397652 -3.173853 3.463725
71 H -2.481312 -4.459470 2.899840
72 H -3.145093 -3.061169 3.750036
73 Cl 2.228376 -2.963704 2.913584
74 C 2.243374 -3.309350 1.222813
75 C 3.043047 -4.360063 0.726386
76 C 3.057770 -4.647924 -0.604061
77 Cl 4.044012 -5.942379 -1.192050
........

-- Brief --
Your job: duplicate the listing above character by character.

-- Written answer --
Entry 1:
This record from the Open Molecules 2025 dataset describes a cluster of 2 separate species, C3H4N2S2 in total in a non-equilibrium geometry. The level of theory is ωB97M-V/def2-TZVPD.

Kohn-Sham gap (hartree): 0.290
Maximum force (hartree/bohr): 0.183
Multiplicity: 1
ΔE to the lowest compared entry with this formula, charge and spin (kJ/mol): 461.6
Total energy (Ha): -1022.43983

Atoms and positions in Å:
1 C -0.183083 0.473387 0.883253
2 C -0.247182 0.328362 -0.708135
3 C 0.803887 0.694853 -1.574485
4 H -2.284312 0.628718 1.048994
5 H -1.547819 0.256085 2.541544
6 H -1.162160 0.831671 -0.888268
7 H -1.485588 -1.675989 0.142580
8 N -1.290977 1.014821 1.351913
9 N 1.329568 1.206999 -2.566169
10 S 1.101242 0.073413 1.873775
11 S -0.853241 -1.609216 -0.995577

Cartesian forces, eV/Å:
3.7 -1.6 -1.4
-1.5 -2.8 3.3
3.5 3.9 -7.3
2.7 1.4 -0.7
1.5 3.4 -3.6
-0.5 0.7 -1.1
-0.4 0.0 1.0
-6.6 -3.8 5.5
-2.9 -3.6 6.6
-0.9 0.3 -1.4
1.4 2.0 -0.9

---

Entry 2:
This record from the Open Molecules 2025 dataset describes a structure of composition C35H47BCl2N8O4Ti in a non-equilibrium geometry. The level of theory is ωB97M-V/def2-TZVPD.

Total charge: +1
Kohn-Sham gap (spin up / spin down) (hartree): 0.276 / 0.260
Maximum force (hartree/bohr): 0.037
Multiplicity: 2
ΔE to the lowest compared entry with this formula, charge and spin (kJ/mol): 31.3
Total energy (Ha): -3895.60214

Atoms and positions in Å:
1 Ti -0.250201 -0.546465 -0.539112
2 C -2.942570 1.997703 3.627222
3 C -2.504271 0.822702 2.809437
4 C -2.950492 -0.471523 2.886382
5 C -2.285878 -1.192095 1.882665
6 N -1.477785 -0.354114 1.224282
7 N -1.598286 0.878653 1.812973
8 B -0.817304 2.125314 1.386699
9 N -1.054547 2.470775 -0.098903
10 N -0.844895 1.642380 -1.182008
11 C -1.126730 2.359993 -2.274707
12 C -1.556532 3.639583 -1.891276
13 C -1.500892 3.673025 -0.521007
14 C -1.845012 4.818106 0.379686
15 C -0.867801 1.925979 -3.714164
16 C 0.553868 1.369156 -3.848889
17 C -1.873997 0.880530 -4.204356
18 C -0.987003 3.149813 -4.628051
19 N 0.736415 2.042280 1.811746
20 N 1.682270 1.354192 1.105665
21 C 2.922502 1.472421 1.650865
22 C 2.723676 2.274787 2.760304
23 C 1.371636 2.609546 2.832841
24 C 0.695107 3.440884 3.868967
25 C 4.262873 0.904053 1.214644
26 C 4.878636 0.195148 2.435716
27 C 4.214024 -0.092260 0.058193
28 C 5.142317 2.096670 0.806161
29 C -2.538916 -2.681978 1.670223
30 C -1.612854 -3.414651 0.696304
31 C -3.990195 -2.846584 1.188264
32 C -2.382779 -3.378558 3.034950
33 H -3.727719 1.676256 4.308191
34 H -3.341805 2.796589 2.999580
35 H -2.132176 2.418070 4.222798
36 H -3.684785 -0.847509 3.583005
37 H -1.213007 3.040120 2.041394
38 H -1.852603 4.455708 -2.531510
39 H -2.190175 5.651373 -0.229197
40 H -0.983743 5.155941 0.958748
41 H -2.638767 4.557560 1.080822
42 H 0.722236 0.516229 -3.195830
43 H 1.297402 2.129770 -3.594279
44 H 0.730351 1.050766 -4.881329
45 H -1.773777 -0.053791 -3.662310
46 H -1.699817 0.674920 -5.264198
47 H -2.899449 1.242731 -4.093405
48 H -0.303213 3.947018 -4.325201
49 H -2.005780 3.547559 -4.635777
50 H -0.735820 2.858974 -5.650779
51 H 3.486447 2.590831 3.455213
52 H 1.445374 3.872829 4.527943
53 H 0.021279 2.831134 4.471549
54 H 0.110378 4.244839 3.421175
55 H 4.249809 -0.637368 2.764772
56 H 5.022831 0.873301 3.278279
57 H 5.857138 -0.201197 2.154797
58 H 3.561713 -0.940137 0.276810
59 H 5.224833 -0.476808 -0.091961
60 H 3.886277 0.369592 -0.871976
61 H 5.248524 2.818520 1.618822
62 H 4.728379 2.612862 -0.064056
63 H 6.137937 1.730119 0.544281
64 H -1.485180 -2.914738 -0.261939
65 H -2.051014 -4.390127 0.473902
66 H -0.635661 -3.588629 1.144895
67 H -4.116490 -2.460978 0.173907
68 H -4.693139 -2.322500 1.840920
69 H -4.254107 -3.907325 1.181325
70 H -1.397652 -3.173853 3.463725
71 H -2.481312 -4.459470 2.899840
72 H -3.145093 -3.061169 3.750036
73 Cl 2.228376 -2.963704 2.913584
74 C 2.243374 -3.309350 1.222813
75 C 3.043047 -4.360063 0.726386
76 C 3.057770 -4.647924 -0.604061
77 Cl 4.044012 -5.942379 -1.192050